Jill Trappler – notion of being, moments of being, Essay by Marilyn Martin

## Here the text breaks off for records of molecules
____________
No. 1
# C47H40N2O4PS3SbSc

A structure of composition C47H40N2O4PS3SbSc (ωB97M-V/def2-TZVPD, the OMol25 dataset).

Computed properties:
- multiplicity = 2
- total energy (Eh) = -4762.49166
- max |F| (Eh/bohr) = 0.01846
- HOMO-LUMO gap (spin up / spin down) (eV) = 6.613 / 7.343
- relative energy (zero: lowest compared OMol25 entry of this formula, charge and spin) (eV) = 0.612
- expectation value of S² = 0.76

Geometry as XYZ:
```
99
C47H40N2O4PS3SbSc ωB97M-V/def2-TZVPD
C 2.71 -4.55 1.19
C -2.17 3.02 -3.93
C 1.27 2.25 -1.98
N -2.35 -2.82 -0.78
H -4.34 -4.00 4.63
C 1.12 -0.45 3.26
H 3.72 4.56 -2.40
C 0.81 -3.44 2.19
H 2.05 2.77 3.73
H -0.47 -4.71 3.37
H -3.74 4.16 -4.81
H 3.61 -4.50 0.58
C -0.65 3.71 -6.14
Sc -1.99 0.20 -0.97
H 1.80 3.61 -3.57
H 2.69 0.51 -3.13
C -0.12 2.90 -5.15
C 0.10 4.67 0.12
H -1.87 -1.78 7.33
H 2.97 2.00 0.95
C -0.26 4.38 2.84
C 1.96 -3.40 1.40
O -3.87 1.20 -1.26
S -1.85 0.37 1.49
S -3.85 1.30 -2.76
C 1.61 1.83 -0.70
C 0.73 5.23 2.37
H 2.89 -6.66 1.57
C -0.07 -0.45 -4.85
H -1.79 3.56 -1.20
C 2.72 2.35 -0.05
H -0.90 -6.31 -0.37
H 1.67 6.04 0.61
H -0.41 4.27 3.91
C -1.29 -1.74 5.26
C 2.65 -0.97 -4.67
H 2.33 -2.41 -6.23
C 2.05 3.25 -2.58
C -0.88 3.81 0.59
H 0.25 4.78 -0.95
C 3.08 1.07 4.54
C -1.02 -2.97 -0.98
H 2.16 -2.16 4.08
C 2.07 -0.01 -3.84
H -2.60 2.90 0.04
C -0.86 2.55 -4.01
C -2.68 -2.98 3.75
C 0.90 5.38 1.00
C 3.48 3.33 -0.66
H -0.43 -1.10 5.45
H -2.92 -3.31 2.75
O -2.90 -1.62 -0.94
S -0.07 -1.61 -1.36
H -2.39 4.80 -6.80
H -1.83 3.01 2.34
N -1.67 3.07 -0.32
C 1.16 -5.81 2.52
H 0.55 -4.42 -0.99
C -2.69 -5.10 -0.28
C 0.42 -4.65 2.75
C -1.07 3.68 1.96
H -0.10 -1.94 -6.38
H 3.85 1.66 5.03
H -1.13 -0.26 -4.91
C 3.14 3.79 -1.92
P -0.12 1.40 -2.78
H 3.88 -0.81 5.20
C -1.57 -2.16 3.97
C 2.13 -1.08 4.00
H 0.85 -6.74 2.96
H -0.06 3.96 -7.01
H 4.34 3.75 -0.15
C -1.96 4.17 -6.03
O -2.84 0.29 -3.18
C -0.51 -4.28 -0.84
H -4.20 -3.53 -0.31
C -2.72 3.82 -4.93
C 0.71 0.25 -3.93
H -3.82 -3.24 6.93
O -2.96 2.75 -2.84
H 0.87 2.50 -5.28
H 1.01 1.09 -0.18
C 3.11 -0.32 4.63
H 2.27 -2.47 0.94
C 2.31 -5.76 1.74
C -1.32 -5.32 -0.49
C 2.08 1.69 3.81
H 1.36 5.79 3.06
H 3.71 -1.17 -4.60
H 0.32 1.43 2.61
Sb -0.39 -1.60 2.29
C 0.51 -1.40 -5.67
H -3.36 -5.89 0.00
C 1.11 0.93 3.17
C -3.17 -3.83 -0.44
C -3.48 -3.37 4.81
C 1.88 -1.66 -5.59
C -3.19 -2.94 6.10
C -2.10 -2.12 6.32
```
____________

Irma Stern Gallery 2009

“A consummated experience between picture and onlooker” (Mark Rothko)

This statement by Mark Rothko[i] captures Jill Trappler’s vision for both artist and viewer. It lays to rest the widespread myth, which originated with Clement Greenberg, that abstractionism is necessarily an art of pure perception, and affirms that reading, experiencing and absorbing a work of art goes beyond sensation, if for no other reason than for the concept of totality. Add to that its transcendental potentiality and you have a complex consummation.

Two recent solo shows, ‘Studio Conversation’[ii] and the work selected by Joe Wolpe for the exhibition ‘Jill Trappler Joe’s choice’, which spanned a period of thirty years, revealed a consummate artist who has consistently explored different modes of non-representational art in a variety of media.[iii] Trappler insists that she does not ‘abstract’ from anything; hers is an art of poetry and metaphor and associations that can emerge years after the visual stimulus registered; these are never literal, but contained and communicated in an astonishing variety of media.[iv]

The artist will not answer the question “What does it mean?” because she will not “…compromise the painting or clarify the mystery by trying to explain meaning in intellectual terms. The mystery will remain if the work is autonomous, is interactive and generates imagination, i.e. it is an inspiration for others or offers up a kind of numinosity that is compelling.” Her references to music, melody and lyrics – “marks make rhythms; colour has sound” – echo Wassily Kandinsky’s belief that art comes from within and that colours and shapes can speak to people just as music does.[v]

(Records of molecules, as found in the file)
- - -
1) {
  "formula": "C5H11NO2",
  "method": "ωB97M-V/def2-TZVPD",
  "homo_lumo_gap_ha": 0.36309,
  "homo_energy_ev": -9.12,
  "e_lumo_ev": 0.756,
  "smiles": "C=CC(N)=O.CCO",
  "elements": ["C", "C", "C", "N", "O", "H", "H", "H", "H", "H", "C", "C", "O", "H", "H", "H", "H", "H", "H"],
  "xyz": [[-2.56, 0.57, -0.78], [-1.57, -0.27, -1.08], [0.07, 0.13, -1.04], [0.31, 1.48, -0.86], [0.78, -0.58, -1.76], [-3.59, 0.33, -1.03], [-2.39, 1.48, -0.22], [-1.74, -1.17, -1.66], [0.89, 1.91, -1.57], [-0.34, 2.07, -0.37], [1.77, -0.02, 1.51], [0.56, -0.85, 1.16], [0.90, -2.14, 0.75], [2.29, -0.47, 2.36], [1.49, 1.00, 1.76], [2.47, 0.01, 0.67], [-0.14, -0.92, 2.00], [-0.40, -0.49, 0.32], [1.21, -2.05, -0.18]]
}



2) {
  "formula": "C5H11NO2",
  "method": "ωB97M-V/def2-TZVPD",
  "homo_lumo_gap_ha": 0.12030,
  "homo_energy_ev": -7.88,
  "e_lumo_ev": -4.604,
  "elements": ["C", "C", "N", "C", "C", "C", "O", "O", "H", "H", "H", "H", "H", "H", "H", "H", "H", "H", "H"],
  "xyz": [[-2.51, 0.10, -1.23], [-2.50, 0.12, 0.14], [-0.05, -0.44, 0.30], [0.92, -1.52, 0.35], [0.30, 0.84, -0.48], [0.63, 0.83, 0.94], [3.11, 0.17, 0.06], [-2.23, 1.21, 0.87], [-2.00, 0.94, -1.70], [-2.86, -0.83, 0.81], [-2.77, -0.75, -1.85], [1.70, -1.33, -0.37], [0.47, -2.48, 0.10], [1.28, -1.55, 1.37], [-0.40, 1.64, -0.90], [1.25, 0.86, -1.11], [1.72, 0.53, 1.24], [0.00, 1.34, 1.81], [3.95, 0.31, -0.35]]
}



3) {
  "formula": "C5H11NO2",
  "method": "ωB97M-V/def2-TZVPD",
  "homo_lumo_gap_ha": 0.37514,
  "homo_energy_ev": -9.21,
  "e_lumo_ev": 1.000,
  "smiles": "CC(C)=NO.CC=O",
  "elements": ["C", "C", "C", "N", "O", "H", "H", "H", "H", "H", "H", "H", "C", "C", "O", "H", "H", "H", "H"],
  "xyz": [[-0.47, 2.08, 0.48], [0.68, 1.14, 0.26], [1.11, 0.25, 1.38], [1.33, 1.07, -0.83], [0.92, 1.95, -1.84], [-0.13, 3.10, 0.34], [-1.23, 1.88, -0.27], [-0.88, 1.98, 1.49], [0.22, -0.18, 1.87], [1.65, 0.83, 2.12], [1.76, -0.55, 1.02], [1.45, 1.69, -2.60], [-1.08, -2.60, -0.03], [-0.71, -1.59, -1.07], [-1.23, -0.52, -1.21], [-0.17, -2.97, 0.46], [-1.76, -2.18, 0.70], [-1.55, -3.45, -0.52], [0.09, -1.93, -1.76]]
}



Stability verdict: 3), ahead by 22.7 kcal/mol



1) {
  "formula": "C5H11NO2",
  "method": "ωB97M-V/def2-TZVPD",
  "homo_lumo_gap_ha": 0.38813,
  "homo_energy_ev": -9.75,
  "e_lumo_ev": 0.814,
  "smiles": "[H]/N=C(/C)C(=C)C.OO",
  "elements": ["H", "N", "C", "C", "C", "C", "C", "H", "H", "H", "H", "H", "H", "H", "H", "O", "O", "H", "H"],
  "xyz": [[0.41, -1.67, -0.87], [1.02, -0.86, -1.01], [0.83, 0.03, -0.10], [1.68, 1.27, -0.06], [-0.18, -0.22, 1.02], [-1.14, 0.70, 1.22], [0.04, -1.39, 1.93], [2.73, 0.99, 0.06], [1.43, 1.93, 0.78], [1.55, 1.82, -0.99], [-1.27, 1.54, 0.54], [-1.89, 0.57, 1.99], [0.43, -1.10, 2.91], [-0.90, -1.93, 2.07], [0.76, -2.10, 1.51], [-1.69, 0.35, -2.09], [-1.59, -0.23, -3.42], [-1.01, -0.23, -1.61], [-1.20, 0.54, -3.87]]
}



2) {
  "formula": "C5H11NO2",
  "method": "ωB97M-V/def2-TZVPD",
  "homo_lumo_gap_ha": 0.37410,
  "homo_energy_ev": -9.55,
  "e_lumo_ev": 0.626,
- - -

Integral to Trappler’s creative process are the primacy of surface and physicality of material, for they are the carriers and stimulators of meaning and emotion and they affirm the reality and independent existence of the artwork. In the current exhibition her working methods enable her to engage with the metamorphosis of the object in a manner that is at the same time palpable and mysterious. There is no beginning and no end, as Trappler does not work in a linear way; in order to provide a structure that underpins her seamless moving back and forth between the different elements that comprise this exhibition, they will be discussed individually and somewhat chronologically.

‘Notion of being’ refers to the life-size objects of clothing which are woven or constructed from painted and stained canvas.[vi] They are informed by memories, imaginings, and play; lives that have been lived now occupy these garments. Trappler likens them to postcards and remembers “… seeing them worn by women in the streets, in buses, on the promenades or even in shop windows … they have inhabited my dreams in different ways either worn by me or unknown others.” The ritual of transformation is captured, and the cloth and clothes become a metaphor for the fibre of society.

Alexandra Learmont has been photographed wearing thirteen of the clothing objects, as well as in a video recording in conversation with Trappler. In the photographs a shift occurs as Learmont wears and interprets the garments; her poses are dramatic, intense, or playful. She becomes part of the notions of being and of transformation – neither the wearer nor the object is left unchanged or intact; and the viewer sees and experiences the images differently.

Some of the objects of clothing have been collaged into paintings and here Trappler gives full expression to the weight and density of material, of thick paint and accretions that cover and engulf and transform them. Made from canvas, they are collaged into paintings on paper; notions of surface are challenged with this reversal of technique.

The large number of mixed media works on paper is exquisite. They come from many different sources – Trappler’s woven objects, real dresses, images from books, garments seen, dreams or the artist’s imagination. Dynamic or static, they are redolent of absence or they carry the imprint of imagined or real bodies, evoking associations with different people, cultures, rituals and seasons. Colour, marks, shapes, decorative motifs and surface articulation suggest notions of cultural opposites – from delicate lace to strong chevrons, from bold patterns inspired by Chinese plastic to a shamanistic image from South America. Some are no longer recognisable as clothes or cloth. These garments never covered real bodies, yet they are anthropomorphised and speak directly to the personal experiences or emotions of the onlooker.

The ‘moments of being’ belong to the two large paintings. In contrast to the garments and the paintings onto which they have been collaged, the paint application in the large canvases is relatively thin and free of intense, laden brushstrokes. Each one is dominated by a different colour range – yellow and red. In Sunnyside of the moon the pigment is applied in varied thicknesses, the strokes are large and free and the horizontal and vertical accents are anchored by lines and blocks. The latter are not quite finished or closed, thereby accommodating or resisting the high key of yellows and greens with accents of dark blue, red, and pink. They recede and advance, activating the viewer’s eye, mind and imagination.

Next to the page, the page also holds records of molecules
/*
(1)
C54H99B5F20N18 | ωB97M-V/def2-TZVPD

Calculated values
electronic energy = -5223.663794 Eh
HOMO-LUMO gap = 5.27 eV
LUMO energy = -6.737 eV
net charge = +4

Structure (XYZ):
```
196
Properties=species:S:1:pos:R:3:lowdin_charge:R:1
C 1.793 6.047 -14.171 -0.066
C 2.418 7.087 -13.230 -0.160
N 1.934 6.945 -11.867 -0.040
C 0.637 7.175 -11.369 0.013
C 0.675 7.156 -9.997 -0.005
N 1.981 6.936 -9.559 -0.060
C 2.695 6.848 -10.754 0.018
C 2.500 6.863 -8.172 0.027
H 2.114 6.256 -15.191 0.087
H 0.776 6.338 -14.434 0.075
H 1.912 4.988 -13.942 0.086
H 2.230 8.100 -13.587 0.141
H 3.499 6.967 -13.305 0.130
H -0.190 7.190 -12.064 0.139
H -0.152 7.281 -9.313 0.142
H 3.766 6.704 -10.733 0.162
H 3.564 6.630 -8.227 0.099
H 1.947 6.095 -7.631 0.102
H 2.480 7.788 -7.596 0.111
C 1.915 -9.315 7.843 -0.073
C 1.985 -8.399 9.099 -0.121
N 1.645 -9.223 10.290 -0.041
C 2.469 -9.317 11.435 0.018
C 1.848 -10.066 12.419 0.009
N 0.586 -10.322 11.937 -0.095
C 0.493 -9.877 10.629 0.028
C -0.377 -11.185 12.605 0.014
H 2.697 -8.882 7.220 0.073
H 1.034 -9.326 7.201 0.074
H 2.313 -10.302 8.077 0.082
H 1.221 -7.630 8.980 0.134
H 3.020 -8.065 9.171 0.132
H 3.365 -8.726 11.555 0.140
H 2.279 -10.440 13.336 0.146
H -0.325 -10.030 9.941 0.163
H -1.315 -10.676 12.823 0.108
H 0.083 -11.556 13.521 0.105
H -0.538 -12.062 11.978 0.104
C -1.060 18.181 0.446 -0.047
C -0.915 17.555 1.833 -0.185
N 0.219 16.734 1.942 -0.073
C 0.246 15.371 1.771 0.017
C 1.562 14.906 1.855 0.041
N 2.382 16.048 1.953 -0.088
C 1.517 17.140 1.971 0.033
C 3.803 16.148 1.888 -0.007
H -1.599 19.127 0.481 0.086
H -1.592 17.579 -0.291 0.087
H -0.088 18.417 0.013 0.077
H -1.864 17.111 2.134 0.143
H -0.704 18.317 2.583 0.133
H -0.678 14.820 1.684 0.145
H 1.958 13.903 1.899 0.139
H 1.919 18.137 2.073 0.169
H 4.230 16.113 2.891 0.109
H 4.159 17.034 1.364 0.109
H 4.206 15.298 1.337 0.112
C -6.336 -8.831 3.383 -0.050
C -7.370 -7.933 2.649 -0.151
N -8.689 -8.603 2.461 -0.044
C -9.177 -8.980 1.173 0.004
C -10.521 -9.288 1.274 0.009
N -10.880 -9.244 2.628 -0.086
C -9.735 -8.799 3.355 0.078
C -12.132 -9.496 3.279 -0.006
H -6.693 -9.652 4.005 0.082
H -5.779 -8.127 4.001 0.081
H -5.653 -9.298 2.674 0.075
H -6.973 -7.564 1.703 0.121
H -7.565 -6.974 3.129 0.126
H -8.524 -9.043 0.315 0.129
H -11.260 -9.590 0.548 0.139
H -9.671 -8.464 4.379 0.165
H -12.175 -8.931 4.211 0.104
H -12.227 -10.523 3.632 0.113
H -12.989 -9.156 2.697 0.113
C 3.655 -2.626 -11.888 -0.043
C 4.078 -3.186 -10.453 -0.126
N 3.074 -2.787 -9.469 -0.054
C 1.696 -2.924 -9.604 0.013
C 1.040 -2.456 -8.411 0.013
N 2.041 -1.849 -7.699 -0.109
C 3.258 -1.990 -8.345 0.053
C 1.813 -1.235 -6.353 0.030
H 4.001 -1.596 -11.973 0.083
H 2.638 -2.864 -12.199 0.067
H 4.228 -3.221 -12.600 0.082
H 5.084 -2.847 -10.206 0.136
H 4.027 -4.268 -10.579 0.124
H 1.340 -3.380 -10.516 0.124
H 0.005 -2.322 -8.134 0.130
H 4.143 -1.692 -7.802 0.169
H 0.771 -0.993 -6.141 0.099
H 2.458 -0.360 -6.274 0.106
H 2.144 -1.928 -5.580 0.103
C 0.895 -1.194 2.230 -0.062
C 1.388 -0.180 3.242 -0.193
*/

The predominantly red painting, jingle jangle junction also tantalises, challenges and stimulates the spectator on many different levels. The work has an overall appearance of freedom and spontaneity, yet every centimetre is considered and worked, with intersecting lines that conjure enigmatic geometric shapes – personal hieroglyphics – hidden deep inside or emerging from the brush marks, dribbles, dry brush strokes and painted areas of powerful reds and blues. Careful looking allows for the extraordinary variety of marks, shapes and textures to impinge on the consciousness and emotions of the onlooker, drawing him or her into the visual, spiritual and metaphysical complexity of the painting. There is no centre, yet the concept of totality and resolution is undiminished.

This substantial and interconnected body of work has resulted from Trappler’s decision to prioritise studio work for the first time in thirty years. Although she has participated in many group and solo shows, her presence and contribution have to some extent been over-shadowed by her far-reaching involvement in teaching, mentoring and project work. As an active participant in the Thupelo Workshop from its inception, the driving force behind Greatmore Studios in Cape Town and the Fordsburg Artists’ Studios (the Bag Factory) in Johannesburg, as well as her commitment to the Association for Visual Arts, to mention but a few of her activities, Trappler is a force in the visual art world in South Africa and further afield. Her work was publicly recognised when she received an award from the Western Cape Department of Cultural Affairs in 2007.

Trappler’s generosity of spirit characterises her life and her work, it is reflected in her attitude to painting and in her desire to inspire and stimulate the imagination. Her art is not didactic but healing and transformative for both artist and viewer. She has no need to be fashionable as a painter, and she has remained faithful to abstractionism in the face of shifts and changes in the world of art. This exhibition offers the public an opportunity of assessing and re-assessing Jill Trappler’s place and role in South African art.

Marilyn Martin